┌──
#1
This record from Alexandria describes an optimized crystal structure of BaSr2Ir. The functional is PBEsol.

**Magnetization**: 0.000 μB per atom
**Fermi-level density of states**: 0.444 states/eV per atom

abc: 6.1749 12.8881 4.3380
angles: 90.00 90.00 90.00
With the nearest neighbours (Å) after each atom.
Space group Cmmm (No. 65)
Asymmetric unit:
Ba 0.0000 0.0000 0.0000 (multiplicity 2)  2 Ir 3.09
Sr 0.0000 0.3516 0.5000 (multiplicity 4)  2 Ir 2.89
Ir 0.0000 0.5000 0.0000 (multiplicity 2)  4 Sr 2.89, 2 Ba 3.09

***

#2
This record from Alexandria describes an optimized crystal structure of BaSr2Ir. The functional is PBEsol.

**Magnetization**: 0.000 μB per atom
**Fermi-level density of states**: 0.647 states/eV per atom

abc: 4.3328 5.9611 13.5720
angles: 90.00 90.00 90.00
With the nearest neighbours (Å) after each atom.
Space group Amm2 (No. 38)
Asymmetric unit:
Ba 0.0000 0.0000 0.0000 (multiplicity 2)  2 Ir 2.95
Sr 0.0000 0.0000 0.2903 (multiplicity 2)  2 Ir 2.90
Sr 0.5000 0.0000 0.6541 (multiplicity 2)  2 Ir 2.98
Ir 0.5000 0.0000 0.1480 (multiplicity 2)  4 Sr 2.90-2.98, 2 Ba 2.95

***

Tell me which of them is the least stable. Sure, it is #1.


# 1
VASP calculation (PBE-GGA) on crystalline Mg2SnCl at its relaxed geometry.

a b c (Å): 6.3618 6.3618 12.3394
angles (deg): 90.00 90.00 90.00
Last column: nearest neighbours and their distance in Å.
Space group I-42d (No. 122)
One atom of each set of equivalent atoms:
Mg 0.2290 0.2500 0.1250 x8  2 Cl 2.65, 2 Sn 2.81
Sn 0.0000 0.0000 0.5000 x4  4 Mg 2.81
Cl 0.0000 0.0000 0.0000 x4  4 Mg 2.65

## Properties
Energy relative to the elements, uncorrected in kJ per mole of atoms: -38
E above lowest polymorph in meV/atom: 0.0



# 2
VASP calculation (PBE-GGA) on crystalline Mg2SnCl6 at its relaxed geometry.

a b c (Å): 6.5276 6.5276 6.1881
angles (deg): 90.00 90.00 120.00
Last column: nearest neighbours and their distance in Å.
Space group P-31m (No. 162)
One atom of each set of equivalent atoms:
Mg 0.3333 0.6667 0.0000 x2  6 Cl 2.52-2.53
Sn 0.0000 0.0000 0.5000 x1  6 Cl 2.89
Cl 0.0000 0.3608 0.2285 x6  2 Mg 2.52

## Properties
Energy relative to the elements, uncorrected in kJ per mole of atoms: -150
E above lowest polymorph in meV/atom: 0.0



# 3
VASP calculation (PBE-GGA) on crystalline MgSn3Cl at its relaxed geometry.

a b c (Å): 5.4670 5.4670 5.4670
angles (deg): 90.00 90.00 90.00
Last column: nearest neighbours and their distance in Å.
Space group Pm-3m (No. 221)
One atom of each set of equivalent atoms:
Mg 0.0000 0.0000 0.0000 x1  6 Sn 2.73
Sn 0.0000 0.0000 0.5000 x3  2 Mg 2.73
Cl 0.5000 0.5000 0.5000 x1  12 Sn 3.87

## Properties
Energy relative to the elements, uncorrected in kJ per mole of atoms: 30
E above lowest polymorph in meV/atom: 0.0



# 4
VASP calculation (PBE-GGA) on crystalline MgSn2Cl at its relaxed geometry.

a b c (Å): 7.3713 7.3713 7.3713
angles (deg): 90.00 90.00 90.00
Last column: nearest neighbours and their distance in Å.
Space group Fm-3m (No. 225)
One atom of each set of equivalent atoms:
Mg 0.0000 0.0000 0.0000 x4  8 Sn 3.19
Sn 0.2500 0.2500 0.2500 x8  4 Cl 3.19, 4 Mg 3.19
Cl 0.0000 0.0000 0.5000 x4  8 Sn 3.19

## Properties
Energy relative to the elements, uncorrected in kJ per mole of atoms: -5
E above lowest polymorph in meV/atom: 201.6


1.
# Cr2CoBr

A relaxed Cr2CoBr crystal (PBE, the Alexandria database).

```
Cr2CoBr
1.0
4.8783 0.0016 0.0000
2.1554 4.3763 0.0000
-3.5169 -2.1890 2.5764
Cr Co Br
2 1 1
Cartesian
0.0000 0.0000 0.0000
1.0777 2.1882 1.2882
2.4392 0.0008 1.2882
3.5169 2.1890 0.0000
```

Computed properties:
Symmetry: I-4m2, No. 119
Calculated total energy: -6.024 eV per atom
DOS at the Fermi energy: 5.02 states/eV/f.u.
Energy relative to the lowest polymorph listed for this composition: 532 meV per atom
Total magnetization: 5.42 μB per formula unit



2.
# CsAlCdSb2

A relaxed CsAlCdSb2 crystal (PBE, the Alexandria database).

```
CsAlCdSb2
1.0
-6.9065 1.4396 0.8925
-1.5612 -5.0264 -3.9739
0.5676 -2.4608 8.3619
Sb Al Cd Cs
4 2 2 2
└──
It remains to type out every line above that contains the word "their".
Last column: nearest neighbours and their distance in Å.
Last column: nearest neighbours and their distance in Å.
Last column: nearest neighbours and their distance in Å.
Last column: nearest neighbours and their distance in Å.